Cold Delhi needs to warm up its heart for the homeless
When the poor and needy realise that there is better institutional support via these NGOs and committees, it will lead to a ripple effect.

The capital was not quite prepared for the pre-Christmas cold that hit the city. On the morning of December 23, Delhi recorded its lowest morning temperatures, at 3.7 degrees Celsius — the coldest its been in four years! Caught off guard, we were not quite ready for the chill that hit the city along with the noxious accompaniment of pollution. Many of the city’s homeless were left scrambling for shelters, which despite our new year resolutions, seem to fall short every year, and many are left out on the street to deal with the cold wave. I say this even though the Delhi Government under the supervision of the Supreme Court has developed an organised system of night shelters over the last five years. This action has come because of the deaths of around 164 people due to the extreme cold conditions in 2015-16. These deaths of the homeless, who form an important work-force in the city as mostly casual and contract labour, acted as a wake-up call for the Delhi government which took it upon themselves to improve the night shelter scheme. However much still remains to be done.
According to a survey done by the Delhi Urban Shelter Improvement Board (DUSIB) in 2014, the national capital has around 16,000 homeless people, but activists who are working in the field say that the figures are at least a lakh more than the official figures. Given this scenario, the paltry number of permanent structures organised to house the poor and homeless is a paltry number (an estimated 83 solid shelters exist). The rest are tents and makeshift portable cabins that hardly keep out the biting cold. Add to that the fact that many of the poor don’t even have proper woollens or blankets and are forced to burn harmful waste substances to create fires around which they huddle for comfort.
Understandably, the shelters have strict rules in place in order to ensure the safety of families comprising of women and small children.
Those using alcohol and drugs are not allowed into the shelter and since many of them are repeat users, they prefer to sleep out in the cold than give up their habit.
# Materials data that have nothing to do with the article
# 1
First-principles (PBE-GGA) data for a relaxed structure of Sr5Al11TlSi13O48, as listed in the Materials Project database.

Properties
ΔE to the lowest computed polymorph ... 0.62 eV per formula unit

Cell lengths 12.323, 12.419, 12.503 Å; angles 90.58, 90.13, 90.64 degrees
Fractional positions:
1 Sr 0.000 0.000 0.000
2 Sr 0.003 0.414 0.990
3 Sr 0.012 0.975 0.540
4 Sr 0.590 0.408 0.998
5 Sr 0.647 0.066 0.893
6 Al 0.158 0.208 0.937
7 Al 0.164 0.021 0.761
8 Al 0.419 0.214 0.935
9 Al 0.604 0.193 0.142
10 Al 0.605 0.831 0.764
11 Al 0.787 0.020 0.143
12 Al 0.789 0.823 0.573
13 Al 0.791 0.571 0.936
14 Al 0.795 0.832 0.940
15 Al 0.796 0.396 0.156
16 Al 0.981 0.219 0.153
17 Tl 0.551 0.887 0.079
18 Si 0.165 0.395 0.752
19 Si 0.166 0.208 0.577
20 Si 0.417 0.206 0.575
21 Si 0.419 0.395 0.751
22 Si 0.420 0.026 0.755
23 Si 0.605 0.576 0.757
24 Si 0.608 0.197 0.396
25 Si 0.788 0.388 0.398
26 Si 0.790 0.024 0.396
27 Si 0.790 0.576 0.578
28 Si 0.978 0.212 0.392
29 Si 0.979 0.576 0.755
30 Si 0.981 0.825 0.753
31 O 0.023 0.701 0.769
32 O 0.039 0.204 0.280
33 O 0.064 0.221 0.039
34 O 0.073 0.202 0.484
35 O 0.083 0.907 0.733
36 O 0.086 0.499 0.746
37 O 0.114 0.088 0.873
38 O 0.131 0.329 0.860
39 O 0.137 0.099 0.644
40 O 0.148 0.318 0.646
41 O 0.289 0.206 0.979
42 O 0.290 0.205 0.530
43 O 0.292 0.435 0.756
44 O 0.298 0.987 0.769
45 O 0.434 0.314 0.648
46 O 0.436 0.100 0.647
47 O 0.452 0.334 0.862
48 O 0.462 0.103 0.856
49 O 0.498 0.498 0.739
50 O 0.503 0.205 0.477
51 O 0.505 0.929 0.757
52 O 0.521 0.223 0.032
53 O 0.564 0.180 0.275
54 O 0.564 0.697 0.774
55 O 0.658 0.066 0.095
56 O 0.667 0.876 0.890
57 O 0.669 0.532 0.864
58 O 0.683 0.306 0.414
59 O 0.684 0.094 0.432
60 O 0.685 0.559 0.655
61 O 0.692 0.303 0.128
62 O 0.695 0.859 0.664
63 O 0.777 0.981 0.275
64 O 0.780 0.449 0.285
65 O 0.787 0.692 0.520
66 O 0.788 0.476 0.039
67 O 0.791 0.475 0.495
68 O 0.793 0.701 0.978
69 O 0.819 0.927 0.478
70 O 0.820 0.925 0.044
71 O 0.895 0.109 0.125
72 O 0.900 0.316 0.409
73 O 0.902 0.564 0.650
74 O 0.904 0.099 0.414
75 O 0.913 0.866 0.859
76 O 0.914 0.539 0.864
77 O 0.918 0.837 0.639
78 O 0.926 0.346 0.146

# 2
First-principles (PBE-GGA) data for a relaxed structure of Sr5Al11TlSi13O48, as listed in the Materials Project database.

Properties
ΔE to the lowest computed polymorph ... 0.00 eV per formula unit

Cell lengths 12.369, 12.379, 12.511 Å; angles 90.33, 91.01, 90.16 degrees
Fractional positions:
1 Sr 0.000 0.000 0.000
2 Sr 0.008 0.413 0.988
3 Sr 0.358 0.383 0.078
4 Sr 0.409 0.997 0.996
5 Sr 0.442 0.996 0.448
6 Al 0.019 0.208 0.832
7 Al 0.193 0.587 0.054
8 Al 0.198 0.024 0.841
9 Al 0.205 0.841 0.053
10 Al 0.225 0.396 0.848
11 Al 0.396 0.211 0.848
12 Al 0.397 0.833 0.235
13 Al 0.581 0.194 0.053
14 Al 0.582 0.394 0.224
15 Al 0.596 0.216 0.419
16 Al 0.847 0.217 0.056
17 Tl 0.622 0.360 0.893
18 Si 0.019 0.586 0.238
19 Si 0.022 0.839 0.238
20 Si 0.030 0.219 0.590
21 Si 0.206 0.030 0.596
22 Si 0.209 0.837 0.415
23 Si 0.213 0.586 0.416
24 Si 0.219 0.398 0.594
# Here the article continues
In other instances it is the lure of begging that keeps them on the street. They are under the mistaken belief that if they are out in the cold they will benefit from alms in the shape of blankets and warm clothes that passers by may donate. We can quite simply see that there are multiple problems at work here and though the solutions are staring us in the face, it may be difficult to implicate them, given the volume of the homeless population and the poor healthcare at our disposal.
Making the effort
One of the first steps is to discourage begging amongst the poor and homeless, for though it provides us with a warm glow to roll down our windows and give them a few coins or in some instances a packet of biscuits, it in fact reinforces the habit of begging and prevents their reformation and gainful employment. Very often one would see that those begging are children and as we know they are the last to benefit from their spoils at begging, since it is all managed by a mafia and ultimately the children are kept poor, maimed, uneducated and even under the influence of drugs because it serves the purpose of the begging mafia. One has even heard of stories of children running away from homes to go back to begging because that is the life they have been inducted into. However, if we stop by simply not encouraging children to beg, then there would be a correction in the system. Children who have been institutionalised into begging and reformed drug addicts should be encouraged to stay in reform centres and shelter homes and hence they would not be subject to face the cold winds on the street in the cold winters.
Organising distribution drives
While this may sound like a lot of work, an organised distribution drive for warm clothes and blankets is not unachievable. Each of the local committees in a society, mohalla committees or panchayats should come together and announce a collection drive of old woolen clothes that would otherwise just lie in a trunk unused. Janpath and Sarojini market are good places for affordable shopping, but good work is also done by mycity4kids, which provides one with a list of places where you can donate your pre-owned or new warm stuff and help someone survive. Wendy’s, the Robinhood Army, a volunteer-based organisation, Goonj an NGO that has been doing warm clothes distribution drives since the last ten years and the Uday Foundation are some places where you can make sure that your donated warm clothes reaches the right people. All these organisations provide warm clothes and blankets to everyone, though kids and older people need it most as they are more susceptible to illnesses during the winter months.
Ripple effect
When the poor and needy realise that there is better institutional support via these NGOs and committees, it will lead to a ripple effect and there will automatically be a reduction in begging and sleeping out in the cold to gain people’s sympathy. We as a society of haves need to encourage and enforce dignified living for the have nots, the poor and the homeless, especially during these winter months when they are left out in the open dealing with the twin nemesis of cold and pollution. Make a difference this year and donate your winter clothes and don’t give in to the sight of the little child standing by the wayside with a runny nose and no clothes. Say no to begging and yes to a dignified existence for the homeless. It lies with the citizens of this city as much as it does with the government to ensure that this winter, with the temperatures hitting an all-time low, we provide that much needed warmth.
The writer is the chairperson of the AICC grievance cell. The views expressed here are personal.